Material:
____________
50
Properties=species:S:1:pos:R:3:forces:R:3 method="wB97M-V/def2-TZVPD" homo_energy_ev="-13.868 / -14.037" charge=+2 gap_ev="6.30 / 6.66"
Ta 0.838457 0.414493 -0.657774 0.41 -0.25 0.27
C -0.256973 -0.096079 -3.375987 0.05 -0.01 0.08
N -0.325922 -0.884951 -2.109807 -0.13 0.02 -0.08
C 0.191412 -2.262248 -2.375551 -0.01 0.03 0.06
C -1.723122 -0.955707 -1.628822 0.10 0.06 0.12
C -2.738409 -1.541335 -2.355940 -0.09 -0.02 -0.01
C -4.028464 -1.547377 -1.836966 0.04 -0.03 -0.06
C -4.289418 -0.960450 -0.609750 0.02 0.03 0.05
C -3.270977 -0.367922 0.126059 -0.01 -0.01 0.01
C -1.982097 -0.380232 -0.382661 -0.18 -0.12 -0.03
N -0.859448 0.224354 0.213310 0.08 0.09 -0.26
C -0.649937 0.761134 1.498519 -0.05 0.01 -0.08
C -1.209613 0.220078 2.654973 0.06 0.01 0.17
C -0.855631 0.728358 3.888816 -0.05 -0.08 -0.07
C 0.093117 1.742310 3.988783 0.09 0.08 -0.07
C 0.685733 2.264672 2.853870 0.00 -0.03 0.16
C 0.303551 1.801345 1.599217 0.06 -0.09 -0.15
N 0.852025 2.377835 0.350522 0.02 0.18 -0.09
C 2.129879 3.113815 0.539709 -0.02 0.03 0.05
C -0.149916 3.301856 -0.274653 -0.01 -0.04 -0.02
H -0.753277 -0.627219 -4.188791 0.01 0.01 -0.02
H 0.791829 0.039760 -3.660544 0.02 0.01 -0.01
H -0.744743 0.869709 -3.242594 -0.01 0.00 0.01
H -0.401803 -2.738351 -3.155479 -0.01 0.00 0.01
H 0.124398 -2.846015 -1.462427 0.03 0.00 0.00
H 1.226838 -2.193169 -2.702457 -0.01 -0.03 -0.01
H -2.551852 -1.992429 -3.322092 0.02 0.01 0.00
H -4.829048 -2.005417 -2.400023 0.00 0.00 -0.01
H -5.298069 -0.956109 -0.220546 0.00 0.01 0.01
H -3.486848 0.112364 1.070191 0.00 0.00 0.00
H -1.904186 -0.604235 2.576570 -0.01 0.00 -0.02
H -1.304704 0.323058 4.785117 -0.01 -0.01 -0.01
H 0.368766 2.129691 4.959489 0.01 0.01 0.00
H 1.416284 3.053199 2.956248 0.01 0.01 -0.01
H 1.960588 4.046331 1.079720 0.01 0.00 0.01
H 2.533528 3.356282 -0.441288 0.00 0.01 0.00
H 2.837083 2.496166 1.089314 0.00 -0.01 -0.02
H -0.297080 4.159117 0.383523 -0.01 0.00 0.00
H -1.101806 2.791284 -0.408331 0.01 0.00 -0.01
H 0.229536 3.645086 -1.236316 0.00 0.01 0.00
C 2.148350 -3.086611 1.311802 0.22 -0.05 -0.10
O 1.510314 -2.072887 0.495351 -0.09 -0.01 0.07
C 2.159632 -1.102208 -0.129499 -0.58 0.03 0.06
C 3.647377 -1.169640 -0.190711 0.06 0.18 0.08
H 2.526459 -3.887377 0.678428 0.00 0.01 0.00
H 1.367513 -3.463208 1.962935 0.00 -0.01 -0.01
H 2.955110 -2.657183 1.901434 -0.03 0.01 0.01
H 4.090814 -0.964753 0.788589 -0.01 -0.04 -0.01
H 4.054213 -0.440236 -0.891732 0.01 0.00 -0.01
H 3.970537 -2.168949 -0.491749 0.00 0.00 -0.05


Model i:
The following is a quantum chemistry calculation of a single C3H5NO2 molecule, from the OMol25 dataset.

Structure (XYZ):
```
11
Properties=species:S:1:pos:R:3:lowdin_charge:R:1
C 1.36 0.05 -1.52 -0.0134
C -1.50 -0.13 0.53 -0.1296
C -0.85 -0.02 1.87 -0.1992
H 0.64 -0.25 -2.26 0.0661
H 1.70 1.20 -1.62 0.1242
H 2.30 -0.44 -1.39 0.0645
H -2.52 -0.25 0.38 0.0961
H -0.98 -0.86 2.55 0.1147
N -0.72 -0.19 -0.40 0.0174
O 0.60 0.01 -0.23 -0.1878
O -0.04 0.88 2.09 0.0470
```

Computed properties:
- structure (SMILES) = CO/N=C\C=O
- Kohn-Sham gap (eV) = 10.009
- E_LUMO (eV) = 0.6266
- E_HOMO (eV) = -9.38

Model ii:
The following is a quantum chemistry calculation of a single C3H5NO2 molecule, from the OMol25 dataset.

Structure (XYZ):
```
11
Properties=species:S:1:pos:R:3:lowdin_charge:R:1
O -1.11 1.15 -1.20 0.1027
C -1.20 -0.11 -0.94 -0.0934
C -0.47 -0.61 0.14 -0.2473
N 0.08 0.50 0.91 -0.0274
C 1.39 0.33 0.90 -0.3768
O 1.96 -0.63 0.31 -0.0619
H -1.85 -0.67 -1.61 0.1436
H -0.89 -1.47 0.66 0.1380
H 0.67 -1.04 -0.21 0.1709
H -0.57 1.48 -0.39 0.1263
H 2.00 1.07 1.43 0.1254
```

Computed properties:
- Kohn-Sham gap (eV) = 9.170
- E_LUMO (eV) = -0.1180
- E_HOMO (eV) = -9.29

The most stable of them is model ii.

Model i:
The following is a quantum chemistry calculation of a single C4H4ClF molecule, from the OMol25 dataset.

Structure (XYZ):
```
10
Properties=species:S:1:pos:R:3:lowdin_charge:R:1
C -0.03 -2.00 -0.03 -0.5963
C 0.28 -0.59 0.38 -0.0490
C 0.34 0.62 0.20 -0.0056
C 0.08 2.02 0.15 -0.2075
____________

Assignment:
Now retype the whole of the material further up without additions.

Solution:
50
Properties=species:S:1:pos:R:3:forces:R:3 method="wB97M-V/def2-TZVPD" homo_energy_ev="-13.868 / -14.037" charge=+2 gap_ev="6.30 / 6.66"
Ta 0.838457 0.414493 -0.657774 0.41 -0.25 0.27
C -0.256973 -0.096079 -3.375987 0.05 -0.01 0.08
N -0.325922 -0.884951 -2.109807 -0.13 0.02 -0.08
C 0.191412 -2.262248 -2.375551 -0.01 0.03 0.06
C -1.723122 -0.955707 -1.628822 0.10 0.06 0.12
C -2.738409 -1.541335 -2.355940 -0.09 -0.02 -0.01
C -4.028464 -1.547377 -1.836966 0.04 -0.03 -0.06
C -4.289418 -0.960450 -0.609750 0.02 0.03 0.05
C -3.270977 -0.367922 0.126059 -0.01 -0.01 0.01
C -1.982097 -0.380232 -0.382661 -0.18 -0.12 -0.03
N -0.859448 0.224354 0.213310 0.08 0.09 -0.26
C -0.649937 0.761134 1.498519 -0.05 0.01 -0.08
C -1.209613 0.220078 2.654973 0.06 0.01 0.17
C -0.855631 0.728358 3.888816 -0.05 -0.08 -0.07
C 0.093117 1.742310 3.988783 0.09 0.08 -0.07
C 0.685733 2.264672 2.853870 0.00 -0.03 0.16
C 0.303551 1.801345 1.599217 0.06 -0.09 -0.15
N 0.852025 2.377835 0.350522 0.02 0.18 -0.09
C 2.129879 3.113815 0.539709 -0.02 0.03 0.05
C -0.149916 3.301856 -0.274653 -0.01 -0.04 -0.02
H -0.753277 -0.627219 -4.188791 0.01 0.01 -0.02
H 0.791829 0.039760 -3.660544 0.02 0.01 -0.01
H -0.744743 0.869709 -3.242594 -0.01 0.00 0.01
H -0.401803 -2.738351 -3.155479 -0.01 0.00 0.01
H 0.124398 -2.846015 -1.462427 0.03 0.00 0.00
H 1.226838 -2.193169 -2.702457 -0.01 -0.03 -0.01
H -2.551852 -1.992429 -3.322092 0.02 0.01 0.00
H -4.829048 -2.005417 -2.400023 0.00 0.00 -0.01
H -5.298069 -0.956109 -0.220546 0.00 0.01 0.01
H -3.486848 0.112364 1.070191 0.00 0.00 0.00
H -1.904186 -0.604235 2.576570 -0.01 0.00 -0.02
H -1.304704 0.323058 4.785117 -0.01 -0.01 -0.01
H 0.368766 2.129691 4.959489 0.01 0.01 0.00
H 1.416284 3.053199 2.956248 0.01 0.01 -0.01
H 1.960588 4.046331 1.079720 0.01 0.00 0.01
H 2.533528 3.356282 -0.441288 0.00 0.01 0.00
H 2.837083 2.496166 1.089314 0.00 -0.01 -0.02
H -0.297080 4.159117 0.383523 -0.01 0.00 0.00
H -1.101806 2.791284 -0.408331 0.01 0.00 -0.01
H 0.229536 3.645086 -1.236316 0.00 0.01 0.00
C 2.148350 -3.086611 1.311802 0.22 -0.05 -0.10
O 1.510314 -2.072887 0.495351 -0.09 -0.01 0.07
C 2.159632 -1.102208 -0.129499 -0.58 0.03 0.06
C 3.647377 -1.169640 -0.190711 0.06 0.18 0.08
H 2.526459 -3.887377 0.678428 0.00 0.01 0.00
H 1.367513 -3.463208 1.962935 0.00 -0.01 -0.01
H 2.955110 -2.657183 1.901434 -0.03 0.01 0.01
H 4.090814 -0.964753 0.788589 -0.01 -0.04 -0.01
H 4.054213 -0.440236 -0.891732 0.01 0.00 -0.01
H 3.970537 -2.168949 -0.491749 0.00 0.00 -0.05


Model i:
The following is a quantum chemistry calculation of a single C3H5NO2 molecule, from the OMol25 dataset.

Structure (XYZ):
```
11
Properties=species:S:1:pos:R:3:lowdin_charge:R:1
C 1.36 0.05 -1.52 -0.0134
C -1.50 -0.13 0.53 -0.1296
C -0.85 -0.02 1.87 -0.1992
H 0.64 -0.25 -2.26 0.0661
H 1.70 1.20 -1.62 0.1242
H 2.30 -0.44 -1.39 0.0645
H -2.52 -0.25 0.38 0.0961
H -0.98 -0.86 2.55 0.1147
N -0.72 -0.19 -0.40 0.0174
O 0.60 0.01 -0.23 -0.1878
O -0.04 0.88 2.09 0.0470
```

Computed properties:
- structure (SMILES) = CO/N=C\C=O
- Kohn-Sham gap (eV) = 10.009
- E_LUMO (eV) = 0.6266
- E_HOMO (eV) = -9.38

Model ii:
The following is a quantum chemistry calculation of a single C3H5NO2 molecule, from the OMol25 dataset.

Structure (XYZ):
```
11
Properties=species:S:1:pos:R:3:lowdin_charge:R:1
O -1.11 1.15 -1.20 0.1027
C -1.20 -0.11 -0.94 -0.0934
C -0.47 -0.61 0.14 -0.2473
N 0.08 0.50 0.91 -0.0274
C 1.39 0.33 0.90 -0.3768
O 1.96 -0.63 0.31 -0.0619
H -1.85 -0.67 -1.61 0.1436
H -0.89 -1.47 0.66 0.1380
H 0.67 -1.04 -0.21 0.1709
H -0.57 1.48 -0.39 0.1263
H 2.00 1.07 1.43 0.1254
```

Computed properties:
- Kohn-Sham gap (eV) = 9.170
- E_LUMO (eV) = -0.1180
- E_HOMO (eV) = -9.29

The most stable of them is model ii.

Model i:
The following is a quantum chemistry calculation of a single C4H4ClF molecule, from the OMol25 dataset.

Structure (XYZ):
```
10
Properties=species:S:1:pos:R:3:lowdin_charge:R:1
C -0.03 -2.00 -0.03 -0.5963
C 0.28 -0.59 0.38 -0.0490
C 0.34 0.62 0.20 -0.0056
C 0.08 2.02 0.15 -0.2075